**Job**
Print the lines underneath up to the one that holds "-1.72 -2.39", that line included, please.

**Source**
********
(1)
DFT (the ωB97M-V functional and the def2-TZVPD basis) results for a molecular structure, C9H12N3OPtSbSe5 at a distorted geometry.

## Properties
Orbital gap (alpha / beta): 3.6 / 3.3 eV
E: -352562.255 eV

Structure (ORCA input):
```
! wB97M-V def2-TZVPD RIJCOSX def2/J DEFGRID3
* xyz -2 1
Pt 0.18 -0.31 0.47
Se 1.81 -1.56 4.69
Sb 1.55 -2.24 2.36
Se 2.61 -0.34 0.88
Se -1.01 -1.98 1.75
Se 2.42 -4.46 1.88
Se -1.10 3.52 -1.31
N -1.35 4.37 0.26
C -1.08 3.50 1.24
C -1.16 3.71 2.62
C -0.79 2.66 3.46
C -0.37 1.45 2.96
N -0.30 1.22 1.64
C -0.66 2.20 0.80
N -0.62 1.97 -0.51
H -1.51 4.65 3.00
H -0.85 2.79 4.53
H -0.07 0.65 3.62
C 0.74 -2.81 -2.89
C 0.27 -1.61 -2.05
C 0.94 -0.34 -2.61
C -1.27 -1.48 -2.14
O 0.64 -1.83 -0.74
H 0.46 -2.68 -3.94
H 0.29 -3.72 -2.50
H 1.82 -2.90 -2.80
H 0.78 -0.26 -3.69
H 2.02 -0.40 -2.42
H 0.55 0.56 -2.13
H -1.60 -1.31 -3.16
H -1.60 -0.64 -1.52
H -1.72 -2.39 -1.75
*
```

Taken from the natural (NBO) analysis, the atomic charges in e are: number 1, Pt, carries 0.76; number 2, Se, carries -0.87; number 3, Sb, carries 1.07; number 4, Se, carries -0.67; number 5, Se, carries -0.64; number 6, Se, carries -0.81; number 7, Se, carries 0.86; number 8, N, carries -0.68; number 9, C, carries 0.15; number 10, C, carries -0.24; number 11, C, carries -0.23; number 12, C, carries 0.05; number 13, N, carries -0.42; number 14, C, carries 0.25; number 15, N, carries -0.65; number 16, H, carries 0.21; number 17, H, carries 0.22; number 18, H, carries 0.27; number 19, C, carries -0.62; number 20, C, carries 0.26; number 21, C, carries -0.65; number 22, C, carries -0.64; number 23, O, carries -0.77; number 24, H, carries 0.17; number 25, H, carries 0.21; number 26, H, carries 0.21; number 27, H, carries 0.17; number 28, H, carries 0.22; number 29, H, carries 0.21; number 30, H, carries 0.17; number 31, H, carries 0.21; number 32, H, carries 0.21

(2)
DFT (the ωB97M-V functional and the def2-TZVPD basis) results for a molecular structure, C9H12N5O at a distorted geometry.

## Properties
Relative energy (zero: lowest compared OMol25 entry of this formula, charge and spin): 270.3 kJ/mol
Orbital gap: 8.9 eV
E: -19015.331 eV

Structure (ORCA input):
```
! wB97M-V def2-TZVPD RIJCOSX def2/J DEFGRID3
* xyz 1 1
C -0.36 3.11 0.51
C -0.01 2.70 1.75
C -0.06 -3.08 1.72
C 0.10 -2.79 -0.70
C -0.27 2.13 -0.54
C 0.35 1.26 2.14
C 0.25 -3.81 0.41
C 0.92 -1.34 0.80
C -0.69 2.42 -1.99
N 0.31 -1.91 1.92
N 0.38 -1.52 -0.41
N 0.10 0.90 -0.21
N 0.48 0.48 1.04
N -0.46 1.15 -2.80
O 0.44 0.95 3.26
H -0.59 4.16 0.36
H -0.14 3.33 2.63
H -0.57 -3.60 2.39
H -0.36 -2.73 -1.72
H 1.37 -4.05 0.52
H -0.25 -4.81 0.27
H 1.99 -1.18 0.91
H 0.01 3.21 -2.41
H -1.74 2.74 -2.15
H -1.28 0.62 -3.00
H -0.09 1.52 -3.71
H 0.16 0.13 -0.96
*
```

Taken from the natural (NBO) analysis, the atomic charges in e are: number 1, C, carries -0.26; number 2, C, carries -0.14; number 3, C, carries 0.20; number 4, C, carries 0.21; number 5, C, carries 0.28; number 6, C, carries 0.59; number 7, C, carries -0.59; number 8, C, carries 0.33; number 9, C, carries -0.27; number 10, N, carries -0.38; number 11, N, carries -0.52; number 12, N, carries -0.29; number 13, N, carries -0.28; number 14, N, carries -0.86; number 15, O, carries -0.53; number 16, H, carries 0.26; number 17, H, carries 0.25; number 18, H, carries 0.20; number 19, H, carries 0.25; number 20, H, carries 0.28; number 21, H, carries 0.28; number 22, H, carries 0.25; number 23, H, carries 0.24; number 24, H, carries 0.24; number 25, H, carries 0.38; number 26, H, carries 0.39; number 27, H, carries 0.49

(3)
DFT (the ωB97M-V functional and the def2-TZVPD basis) results for a gas-phase ion, C9H12NO2S (charge +1) at a distorted geometry.

## Properties
Relative energy (zero: lowest compared OMol25 entry of this formula, charge and spin): 87.0 kJ/mol
Orbital gap: 8.8 eV
E: -25938.709 eV

Structure (ORCA input):
```
! wB97M-V def2-TZVPD RIJCOSX def2/J DEFGRID3
* xyz 1 1
C 4.12 -1.24 1.11
C 3.65 -0.27 0.32
C 2.91 -0.42 -0.95
********

**Written answer**
(1)
DFT (the ωB97M-V functional and the def2-TZVPD basis) results for a molecular structure, C9H12N3OPtSbSe5 at a distorted geometry.

## Properties
Orbital gap (alpha / beta): 3.6 / 3.3 eV
E: -352562.255 eV

Structure (ORCA input):
```
! wB97M-V def2-TZVPD RIJCOSX def2/J DEFGRID3
* xyz -2 1
Pt 0.18 -0.31 0.47
Se 1.81 -1.56 4.69
Sb 1.55 -2.24 2.36
Se 2.61 -0.34 0.88
Se -1.01 -1.98 1.75
Se 2.42 -4.46 1.88
Se -1.10 3.52 -1.31
N -1.35 4.37 0.26
C -1.08 3.50 1.24
C -1.16 3.71 2.62
C -0.79 2.66 3.46
C -0.37 1.45 2.96
N -0.30 1.22 1.64
C -0.66 2.20 0.80
N -0.62 1.97 -0.51
H -1.51 4.65 3.00
H -0.85 2.79 4.53
H -0.07 0.65 3.62
C 0.74 -2.81 -2.89
C 0.27 -1.61 -2.05
C 0.94 -0.34 -2.61
C -1.27 -1.48 -2.14
O 0.64 -1.83 -0.74
H 0.46 -2.68 -3.94
H 0.29 -3.72 -2.50
H 1.82 -2.90 -2.80
H 0.78 -0.26 -3.69
H 2.02 -0.40 -2.42
H 0.55 0.56 -2.13
H -1.60 -1.31 -3.16
H -1.60 -0.64 -1.52
H -1.72 -2.39 -1.75